Answers to Questions and Problems Found on
Theory and Program: Isomorphic Structures
Using, Rather Than Merely Alluding To, Theory
©2011 Edward G. Rozycki
edited 4/14/12
• Next to the entry, the page also holds calculated molecules:
/*
DFT (the ωB97M-V functional and the def2-TZVPD basis) results for a molecular structure, H6O6Y.

Last column: Löwdin charge in e.
CARTESIAN COORDINATES (ANGSTROEM)
Y 0.07 -0.11 -0.03  1.26
O -1.20 -1.18 -1.60  -0.56
H -1.24 -1.98 -2.16  -0.15
O 2.10 -1.00 -0.15  -0.55
H 3.07 -1.09 -0.21  -0.13
O -0.11 -1.45 1.75  -0.57
H -0.90 -1.60 2.31  -0.13
O 1.29 1.13 1.51  -0.57
H 1.63 1.99 1.80  -0.16
O -2.03 0.89 0.08  -0.57
H -2.62 1.09 0.83  -0.15
O -0.21 1.25 -1.84  -0.56
H 0.14 2.05 -2.28  -0.15

Values from the calculation:
**Charge**: -3
**Orbital gap**: 5.33 eV
**LUMO level**: 9.28 eV

=====

DFT (the ωB97M-V functional and the def2-TZVPD basis) results for 2 unconnected molecules or ions with the total composition C2H8N3.

Last column: Löwdin charge in e.
CARTESIAN COORDINATES (ANGSTROEM)
C -1.02 -0.61 -0.44  -0.12
C 0.34 -0.05 -0.49  -0.32
N -0.64 0.47 0.39  0.15
N 0.17 -0.73 2.75  0.12
N 0.71 0.89 -1.61  0.25
H -1.77 -0.38 -1.19  0.13
H -1.14 -1.60 -0.01  0.13
H 1.19 -0.60 -0.11  0.15
H -0.76 -0.88 3.13  -0.01
H 0.54 0.13 3.17  -0.01
H 0.77 0.40 -2.51  0.18
H 1.61 1.35 -1.42  0.18
H -0.01 1.62 -1.66  0.18

Values from the calculation:
**Charge**: +1
**Orbital gap (alpha / beta)**: 10.43 / 8.84 eV
**ΔE to the lowest compared entry with this formula, charge and spin**: 6.313 eV
**LUMO level (alpha / beta)**: -3.92 / -5.68 eV

=====

DFT (the ωB97M-V functional and the def2-TZVPD basis) results for a molecular structure, C5H22B4FO5Tl.

Last column: Löwdin charge in e.
CARTESIAN COORDINATES (ANGSTROEM)
Tl -0.83 2.02 -0.55  0.91
B -0.98 3.54 -5.23  -0.35
H -1.79 3.05 -4.72  -0.09
H -0.88 4.55 -4.85  -0.07
H -0.06 3.05 -4.95  -0.08
H -1.23 3.73 -6.26  -0.08
B -0.09 6.34 1.56  -0.31
H -1.10 6.30 1.19  -0.06
H 0.18 5.45 2.10  -0.06
H 0.58 6.48 0.72  -0.06
H -0.13 7.19 2.23  -0.06
B 3.50 1.95 2.39  -0.29
H 4.02 2.89 2.37  -0.07
H 4.05 1.31 3.07  -0.07
H 2.52 2.10 2.81  -0.04
H 3.31 1.55 1.41  -0.07
B -4.60 -0.91 -1.33  -0.38
H -4.92 0.05 -1.68  -0.09
H -4.33 -0.78 -0.30  -0.08
H -5.41 -1.62 -1.27  -0.09
H -3.78 -1.27 -1.94  -0.10
C -2.76 -0.39 7.01  -0.02
C -2.04 0.65 6.13  -0.72
O -1.49 1.59 6.71  0.06
O -1.99 0.53 4.88  0.07
H -2.93 0.06 7.99  0.06
H -2.15 -1.26 7.23  0.07
H -3.74 -0.69 6.63  0.07
C 2.41 -6.55 -3.81  -0.01
C 3.76 -6.17 -3.01  -0.28
O 3.51 -4.90 -2.50  0.11
C 2.44 -4.34 -3.14  -0.46
O 1.99 -3.21 -2.83  0.13
O 1.98 -5.18 -4.12  0.04
F 4.74 -6.25 -3.97  0.05
H 1.59 -6.88 -3.18  0.13
H 2.65 -7.20 -4.65  0.13
H 3.99 -6.76 -2.13  0.16

Values from the calculation:
**Charge**: -2
**Orbital gap**: 1.59 eV
**LUMO level**: -2.29 eV

=====

DFT (the ωB97M-V functional and the def2-TZVPD basis) results for 7 unconnected molecules or ions with the total composition C38H28Br2O12.

Last column: Löwdin charge in e.
CARTESIAN COORDINATES (ANGSTROEM)
Br -0.19 -1.46 1.60  0.74
C -0.31 0.04 0.38  -0.68
C -0.88 1.24 1.09  -0.68
Br -0.53 2.84 0.09  0.76
H -0.74 -0.28 -0.57  0.06
H 0.72 0.30 0.11  0.01
H -0.35 1.42 2.02  0.04
H -1.96 1.16 1.24  0.06
*/
Recognizing Isomorphisms
Which of the following diagrams are isomorphic with which? Why?
![]() diagram 1 |
![]() diagram 2 |
![]() diagram 3 |
The letters and numbers in the diagrams (the variables) are commonly called vertices (singular, "vertex"). The connecting lines or arrows (the relations) are commonly called "edges." If this terminology is new to you, or off-putting, think of them as "islands" connected with "bridges."
Diagram 1 (D1) is isormorphic to both D2 and D3 IF
a. we interpret the connecting lines and arrows as merely indicating the relationship "adjacent to" and
b. we map the vertices of D1, a, d, c, and b, respectively, into D2 and D3 to vertices 1, 7, 5, and 3 in both.
Note that if we take the arrows in D1 and D3 to indicate the relationship, "is followed (counterclockwise) by" then D1 and D3 are not isomophic and neither is D1 nor D3 isomorphic to D2.
There are many interpretations possible of both the vertices and edges.
Problem Set A:
1. Can you construct an isomorphism between the English alphabet and the integers from 1 to 26? (Specify matching rules which create this isomorphism.)
A1. This can be done a many ways, frontwards, backwards, shuffled, and so on. Let's just do it with the alphabet in standard order (frontwards). Map A to 1, B to 2, ..., ..., 26 to Z. The relationship by which they are structured into an isomorphism is "is conventionally followed by."
2. Is your watch face isomorphic to the hours in the day?
A2. If your watchface shows twenty-four hours, yes. The digits from 1 to 24 are the vertices which map to the hours of the day. The relation name for the "edges" -- shown by the positions of the digits on your watchface -- is "is followed by."
If your watch has only twelve digits, you can still construct an isomorphism by distinguishing between the first time a digit is reached (or appears, if it is a digital watch, called x AM) and the second time it is reached (called x PM). As before, the relation between digits is "is followed by."
3. In what ways might even a very good map not be isomorphic to the territory it maps?
The map is not the territory it maps. Maps leave things out, they must, otherwise that would be photographic images of what they map. Maps are drawn to focus on items which serve the purposes of the map user. A very good map for finding hotels along a highway is not likely to indicate the locations of every squirrel's nest along the way.
Comparing Programs and Theories
Problem Set B:
1. Consider the teacher who says he is reinforcing student responses by giving certain grades on the report card. If you consider operant conditioning theory, paying careful attention to the variables it deals with and the relationships among them, especially timing, do you think the teacher is actually following the theory? Why or why not?
B1. To use operant theory one must be able to identify:
a. the class of behavioral variables considered to constitute the operant;
b. the class of presentation stimuli considered to constitute the reinforcer;
c. the class of environmental variables consider to constitute the situation;
d. the schedule of reinforcement;
e. the records which constitute the subject's history of reinforcement.
f. the temporal and spacial proximity of a, b, c.
Since report grades are received by the student at some remove from his or her exhibiting the pertinent operant, the answer to whether the teacher is reinforcing the response is likely no, since the theory does not explain how operants followed by other operants can be reinforced at a distance, temporally and spacially, despite a stream of intervening reinforcers having occurred.
2. Is imprisonment necessarily aversive conditioning?
B2. Since some 12% of released prisoners return regularly to prison, it is more likely that they find being out on their own more aversive than being in the prison environment. Action at a distance is a problem. Some enhancement to basic operant theory, for example, hierarchies of cause and effect, will have to be postulated to account for recidivism.
3. If learning by observation alone is possible, what kinds of variables will a theory that purports to explain such learning require?
B3. Probably some kind of long term memory and also an expectation variable along the lines of Albert Bandura's theory. Also needed will be some kind of theory that postulated nervous rerouting without the need for training.
4. Construct a list of questions you would ask a person who claims his or her research (or training) program is guided by a particular theory.
B4 1. What are the variables in your theory? |
5. Why that one and not another? |